Our special day.
“We are so different, yet the same,” says Icelyn, who comes from a Jamaican/Nigerian ethnicity. Her wife Sita is of Indian/Trinidadian heritage. “We are different in our practising religions of Christianity and Hinduism,” says Sita. “Though we come from different backgrounds and upbringings we both had a love of music and a passion for our own management professions.”
What comes next are molecular data, not part of the text =
........
# C26H26IN3Ru

C26H26IN3Ru as an isolated structure (ωB97M-V/def2-TZVPD, OMol25).

Cartesian coordinates (Å):
Ru1 0.397 0.053 0.329
C1 2.459 1.593 -1.185
N1 1.004 1.290 -1.355
C2 0.284 2.577 -1.512
C3 0.865 0.460 -2.569
C4 0.957 0.964 -3.851
C5 0.837 0.104 -4.937
C6 0.632 -1.253 -4.742
C7 0.570 -1.773 -3.461
C8 0.705 -0.915 -2.371
N2 0.583 -1.294 -1.030
C9 1.050 -2.482 -0.478
C10 1.898 -3.392 -1.121
C11 2.309 -4.528 -0.453
C12 1.903 -4.759 0.856
C13 1.092 -3.848 1.522
C14 0.672 -2.706 0.870
N3 -0.180 -1.688 1.486
C15 -1.606 -2.043 1.199
C16 -0.018 -1.620 2.958
H1 2.836 2.098 -2.075
H2 3.012 0.664 -1.047
H3 2.594 2.233 -0.315
H4 0.731 3.177 -2.304
H5 0.365 3.135 -0.581
H6 -0.761 2.390 -1.748
H7 1.116 2.018 -4.031
H8 0.893 0.504 -5.940
H9 0.509 -1.909 -5.592
H10 0.365 -2.823 -3.307
H11 2.251 -3.193 -2.122
H12 2.963 -5.232 -0.947
H13 2.233 -5.650 1.372
H14 0.810 -4.042 2.547
H15 -1.817 -3.039 1.591
H16 -1.782 -2.033 0.125
H17 -2.262 -1.326 1.690
H18 -0.425 -2.508 3.441
H19 -0.565 -0.751 3.320
H20 1.033 -1.514 3.213
I1 -1.533 1.627 1.205
C17 -0.172 2.831 2.269
C18 -0.470 4.043 2.828
C19 0.538 4.694 3.564
C20 1.781 4.132 3.712
C21 2.084 2.881 3.131
C22 3.349 2.250 3.254
C23 3.585 1.016 2.702
C24 2.557 0.340 2.020
C25 1.346 0.964 1.777
C26 1.080 2.220 2.388
H21 -1.445 4.499 2.722
H22 0.319 5.652 4.014
H23 2.545 4.648 4.279
H24 4.127 2.747 3.819
H25 4.548 0.539 2.826
H26 2.740 -0.668 1.647

As for the HOMO energy (spin up / spin down): -13.92 / -13.62 eV. For the calculated total energy, the calculation gives -1562.61164 hartree. The total charge is +2. The energy above the lowest of the compared OMol25 structures with the same formula, charge and spin comes out at 43.9 kJ/mol. For the orbital gap (spin up / spin down), the calculation gives 5.507 / 4.677 eV.

The net atomic charges from natural (NBO), expressed in e, are: atom 1 (Ru): 0.71, atom 2 (C): -0.42, atom 3 (N): -0.42, atom 4 (C): -0.42, atom 5 (C): 0.20, atom 6 (C): -0.23, atom 7 (C): -0.16, atom 8 (C): -0.17, atom 9 (C): -0.20, atom 10 (C): 0.05, atom 11 (N): -0.41, atom 12 (C): 0.07, atom 13 (C): -0.18, atom 14 (C): -0.18, atom 15 (C): -0.15, atom 16 (C): -0.18, atom 17 (C): 0.13, atom 18 (N): -0.43, atom 19 (C): -0.42, atom 20 (C): -0.41, atom 21 (H): 0.22, atom 22 (H): 0.22, atom 23 (H): 0.22, atom 24 (H): 0.22, atom 25 (H): 0.22, atom 26 (H): 0.23, atom 27 (H): 0.24, atom 28 (H): 0.25, atom 29 (H): 0.25, atom 30 (H): 0.24, atom 31 (H): 0.25, atom 32 (H): 0.25, atom 33 (H): 0.25, atom 34 (H): 0.24, atom 35 (H): 0.23, atom 36 (H): 0.23, atom 37 (H): 0.22, atom 38 (H): 0.22, atom 39 (H): 0.23, atom 40 (H): 0.23, atom 41 (I): 0.54, atom 42 (C): -0.11, atom 43 (C): -0.21, atom 44 (C): -0.17, atom 45 (C): -0.16, atom 46 (C): 0.02, atom 47 (C): -0.11, atom 48 (C): -0.22, atom 49 (C): -0.21, atom 50 (C): -0.08, atom 51 (C): -0.18, atom 52 (H): 0.25, atom 53 (H): 0.25, atom 54 (H): 0.24, atom 55 (H): 0.24, atom 56 (H): 0.25, atom 57 (H): 0.23

=====

[1]
{
  "formula": "C6H13NO2",
........
Back to the text =
“It took many years until we got to the point of deciding to go on a journey together which led to our marriage in August of 2013,” says Ice. “We wanted to be very traditional in our nuptials, which was very difficult for same-sex weddings, even in New York City.” In a city known for its diversity and the passing of gay marriage legislation, the couple thought it would be simpler to get married traditionally within their cultures. “We were very wrong and challenged to the very end,” admits Sita.
Hindu weddings are traditionally several days long with many different rituals, explains Sita. “We had family and friends coming from all over the world to attend our wedding, so to accommodate everyone we decided to combine our two wedding ceremonies into one day. This was going to be very complicated to accomplish two full weddings in one day!”
The couple were met with challenges every single step of the way. With so many gay marriages happening in NYC, they didn’t expect the obstacles ahead of them.
“The most difficult was getting the officiants to marry us,” says Ice. “We needed to find a Baptist minister and a Hindu pundit. After much Googling, we could not find these specific types of officiants. Every Baptist church/minister we approached turned us down or the board of the church would not approve. A friend recommended us to a Baptist church in Brooklyn that has a large gay following. The church stated that gays were allowed to worship, as they don’t turn anyone away, but they don’t believe in performing same-sex marriages.”
Months went by, and they were still told no so many times by Hindu pundits and Baptist pastors that they thought the wedding wouldn’t go on. Less than 30 days before the wedding, a pundit referred by a close friend agreed to their Hindu wedding. “My mother being there every step of the way supporting me helped with the pundit agreeing to perform our ceremony,” says Sita. “We had to then go with a non-denominational minister for the Christian ceremony. Icelyn was never able to get any Baptist minister to agree to marry us.”
By sharing their story the couple hopes to inspire and encourage other mixed couples to plan their wedding with their minds, eyes, and hearts open.